November 13, 2023

International Fraud Awareness Week takes place November 12 – 18, 2023

Fraud Awareness Week highlights how crucial it is for organizations to pause and reflect on the evolving landscape of fraud risks. In an era where the convergence of technology and human ingenuity continues to shape our world, the need for proactive risk management is more pressing than ever. As a risk advisory consultant, my mission is to assist organizations in identifying, mitigating, and preventing fraud risks that could jeopardize their missions.

Fraud Risk Trends

Fraudsters are adaptive adversaries, constantly evolving to exploit vulnerabilities in systems and processes. In recent years, we’ve witnessed a surge in cyber-enabled fraud, social engineering attacks, and insider threats:

  • Cyber-Enabled Fraud: Cybercriminals employ sophisticated techniques to exploit weaknesses in digital systems, making it imperative for organizations to prioritize cybersecurity.
  • Social Engineering Attacks: Human manipulation remains a potent weapon in the fraudster’s arsenal. Social engineering attacks, such as phishing and pretexting, target individuals to gain unauthorized access or extract sensitive information. Awareness and education are crucial in mitigating the risks associated with these deceptive tactics.
  • Insider Threats: Organizations face risks not only from external actors but also from within. Insider threats, whether intentional or unintentional, pose a significant risk to data security and financial integrity. Implementing effective internal controls and monitoring mechanisms is essential in addressing insider risks.

Managing Fraud Risks

Managing fraud risks goes beyond mere compliance—it should be an integral part of every organization’s overall strategy and be a consideration for all departments, not just finance and accounting. Incorporating robust fraud risk management practices as a component of your enterprise risk management function is a proactive measure that aligns with your broader business objectives and mission.

Risks for Small to Medium Organizations

Small to medium-sized nonprofits, with employee counts ranging from 20 to 500, are not immune to fraud risks. In fact, they might be more susceptible due to resource constraints and a lack of dedicated risk management functions. Common risks include misappropriation of funds, procurement fraud, and insider threats.  If it is not already part of your internal audit process, we highly recommend that you perform assessments of high-risk processes to identify strategies for risk mitigation and business process improvement.

Cybersecurity Risks

The digitization of operations has opened new avenues for cyber threats. Nonprofits handle sensitive donor information and financial data, making them attractive targets for cybercriminals. Inside actors also now have access to large amounts of data through system integrations and cloud-based SaaS applications which increases the opportunity to commit and conceal fraudulent activity. Our cybersecurity team specializes in assessing and fortifying internal and external cybersecurity defenses, ensuring that your organization’s digital infrastructure remains resilient against the ever-evolving cyber threats.

**Here the page breaks off for crystal structures:**
____________
(1)
The following is a computed XRD peak list of ZnSe. It was derived from a structure optimized by DFT (PBE), using CuKα.
Intensities are scaled so that the largest is 100.

Atomic structure:
Cell lengths 4.0535, 4.0535, 6.6624 Å; angles 90.00, 90.00, 120.00 degrees
Space group P6_3mc (No. 186)
One atom of each set of equivalent atoms:
Zn: 0.3333 0.6667 0.0000 (multiplicity 2)
Se: 0.3333 0.6667 0.6262 (multiplicity 2)

Peak list (8 most intense, 10 to 80 degrees two-theta, in order of rising 2θ)
2theta	d [Å]	intensity
25.4	3.510	100
26.8	3.331	58
28.7	3.106	66
37.2	2.416	36
44.7	2.027	85
48.5	1.877	86
52.9	1.731	50
68.1	1.377	30

(2)
The following is a computed XRD peak list of Co3Bi3N5. It was derived from a structure optimized by DFT (PBE), using CuKα.
Intensities are scaled so that the largest is 100.

Atomic structure:
Cell lengths 5.585, 7.996, 8.242 Å; angles 105.39, 105.50, 102.81 degrees
Space group P-1 (No. 2)
One atom of each set of equivalent atoms:
Co: 0.017 0.180 0.488 (multiplicity 2)
Co: 0.126 0.467 0.223 (multiplicity 2)
Co: 0.324 0.521 0.883 (multiplicity 2)
Bi: 0.196 0.986 0.882 (multiplicity 2)
Bi: 0.343 0.851 0.262 (multiplicity 2)
Bi: 0.399 0.658 0.627 (multiplicity 2)
N: 0.028 0.344 0.705 (multiplicity 2)
N: 0.167 0.717 0.932 (multiplicity 2)
N: 0.206 0.367 0.414 (multiplicity 2)
N: 0.219 0.030 0.491 (multiplicity 2)
N: 0.371 0.513 0.124 (multiplicity 2)

Peak list (8 most intense, 10 to 80 degrees two-theta, in order of rising 2θ)
2theta	d [Å]	intensity
24.2	3.680	50
28.9	3.094	45
30.7	2.911	89
31.4	2.848	90
32.5	2.756	100
32.6	2.747	87
34.2	2.620	87
35.2	2.548	66

(3)
The following is a computed XRD peak list of Gd2ZnHg. It was derived from a structure optimized by DFT (PBE), using CuKα.
Intensities are scaled so that the largest is 100.

Atomic structure:
Cell lengths 7.367, 7.367, 7.367 Å; angles 90.00, 90.00, 90.00 degrees
Space group Fm-3m (No. 225)
One atom of each set of equivalent atoms:
Gd: 0.250 0.250 0.250 (multiplicity 8)
Zn: 0.000 0.000 0.000 (multiplicity 4)
Hg: 0.000 0.000 0.500 (multiplicity 4)

Peak list (8 most intense, 10 to 80 degrees two-theta, in order of rising 2θ)
2theta	d [Å]	intensity
20.9	4.253	11
34.4	2.604	100
40.6	2.221	6
49.5	1.842	18
54.3	1.690	3
61.7	1.504	37
72.6	1.302	11
76.5	1.245	2

(4)
The following is a computed XRD peak list of MgSn2O4. It was derived from a structure optimized by DFT (PBE), using CuKα.
Intensities are scaled so that the largest is 100.

Atomic structure:
Cell lengths 8.556, 3.103, 14.588 Å; angles 90.00, 90.00, 90.00 degrees
Space group Pnma (No. 62)
One atom of each set of equivalent atoms:
Mg: 0.204 0.250 0.220 (multiplicity 4)
Sn: 0.031 0.750 0.401 (multiplicity 4)
Sn: 0.077 0.750 0.905 (multiplicity 4)
O: 0.073 0.750 0.671 (multiplicity 4)
O: 0.082 0.750 0.155 (multiplicity 4)
O: 0.127 0.250 0.483 (multiplicity 4)
O: 0.235 0.750 0.322 (multiplicity 4)

Peak list (8 most intense, 10 to 80 degrees two-theta, in order of rising 2θ)
2theta	d [Å]	intensity
____________
**Back to the page:**

Proactively Identify Fraud

Materials data from another source follow >
____________
[1]
Structure and theoretical X-ray powder pattern of Tb9Tm3Th2 (a PBE-relaxed structure; a wavelength of 1.5418 Å).

Principal peaks in the range 2θ = 10–80°, by intensity:
2theta  Rel. int.  h k l
30.8  100  1 0 3
51.5  48  2 4 0
35.7  45  0 2 4
61.2  43  3 -1 0
30.9  33  1 3 2
35.8  22  2 1 1
61.3  14  3 4 3
64.2  12  2 6 4
64.2  4  2 2 -4
75.8  3  4 2 2
75.7  3  0 6 -2
75.7  3  0 4 8

Structural model:
```
data_Tb9Tm3Th2
_space_group_name_H-M_alt 'P 1'
_space_group_IT_number 1
_cell_length_a 5.018
_cell_length_b 9.396
_cell_length_c 10.658
_cell_angle_alpha 67.87
_cell_angle_beta 76.42
_cell_angle_gamma 74.57
loop_
_space_group_symop_operation_xyz
'x,y,z'
loop_
_atom_site_label
_atom_site_fract_x
_atom_site_fract_y
_atom_site_fract_z
Tb1 0.000 0.000 0.000
Tb2 0.069 0.217 0.646
Tb3 0.141 0.434 0.283
Tb4 0.283 0.860 0.573
Tb5 0.427 0.288 0.857
Tb6 0.499 0.503 0.499
Tb7 0.711 0.147 0.430
Tb8 0.782 0.364 0.072
Tb9 0.927 0.790 0.357
Tm1 0.210 0.650 0.929
Tm2 0.357 0.073 0.213
Tm3 0.853 0.577 0.717
Th1 0.570 0.720 0.141
Th2 0.641 0.930 0.788
```

=====

[2]
Structure and theoretical X-ray powder pattern of Tb5TmTh2 (a PBE-relaxed structure; a wavelength of 1.5418 Å).

Principal peaks in the range 2θ = 10–80°, by intensity:
2theta  Rel. int.  h k l
30.3  100  2 1 3
32.2  51  3 1 0
60.5  24  5 2 3
42.3  15  3 1 4
52.7  10  3 1 6
59.1  10  4 0 6
67.4  10  2 1 9
40.5  9  0 0 6
47.3  9  4 1 3
61.1  9  3 3 6
46.2  7  4 2 0
28.8  7  2 2 0

Structural model:
```
data_Tb5TmTh2
_space_group_name_H-M_alt 'I 4/m c m'
_space_group_IT_number 140
_space_group_name_Hall '-I 4 2c'
_cell_length_a 8.783
_cell_length_b 8.783
_cell_length_c 13.362
_cell_angle_alpha 90.00
_cell_angle_beta 90.00
_cell_angle_gamma 90.00
loop_
_atom_site_label
_atom_site_fract_x
_atom_site_fract_y
_atom_site_fract_z
Tb1 0.000 0.000 0.000
Tb2 0.152 0.348 0.162
Tm1 0.000 0.000 0.250
Th1 0.141 0.359 0.500
```

* * * * *

This entry pairs a crystal structure of KPrGe4 with its computed PXRD pattern. Radiation: CuKα. Structure: a structure optimized by DFT (PBE).
No peak broadening, texture or thermal motion is included.

Crystal structure
```
data_KPrGe4
_chemical_formula_sum 'K4 Pr4 Ge16'
_symmetry_space_group_name_H-M 'F -4 3 m'
_symmetry_Int_Tables_number 216
_symmetry_space_group_name_Hall 'F -4 2 3'
_cell_length_a 8.221
_cell_length_b 8.221
_cell_length_c 8.221
_cell_angle_alpha 90.00
_cell_angle_beta 90.00
_cell_angle_gamma 90.00
loop_
_atom_site_label
_atom_site_type_symbol
_atom_site_fract_x
_atom_site_fract_y
_atom_site_fract_z
K1 K 0.000 0.000 0.000
Pr1 Pr 0.250 0.250 0.250
Ge1 Ge 0.120 0.120 0.620
```

Main lines, sorted by position (2θ from 10° to 90°):
hkl 1 1 1, 2θ = 18.7°, I 16
hkl 2 0 0, 2θ = 21.6°, I 7
hkl 2 2 0, 2θ = 30.8°, I 32
hkl 3 1 1, 2θ = 36.2°, I 100
hkl 2 2 2, 2θ = 37.9°, I 36
hkl 4 2 2, 2θ = 54.7°, I 12
hkl 3 3 3, 2θ = 58.3°, I 32
hkl 4 4 0, 2θ = 64.1°, I 25
hkl 5 3 3, 2θ = 75.9°, I 11
hkl 6 2 2, 2θ = 76.9°, I 13

* * * * *

# 1
# CaH12I2O12
____________

In the fight against fraud, an organization’s greatest asset is its people. Whistleblower programs empower employees to speak up when they witness unethical or fraudulent behavior. Establishing a culture that encourages reporting without fear of retaliation is crucial. Our Certified Fraud Examiners can guide you in developing and implementing world-class whistleblower programs, assessing your current whistleblower program, and investigating whistleblower allegations.

GRF Can Help

As you contemplate the importance of Fraud Awareness Week, consider taking proactive steps to protect your nonprofit from the ever-present threat of fraud. Our Risk Advisory team is here to partner with you, providing the expertise needed to fortify your organization against today’s evolving risks. Our services go beyond traditional risk management by providing tailored solutions to address the specific challenges faced by nonprofits. Partnering with us gives you access to a team of experienced professionals dedicated to safeguarding your organization’s mission and reputation.

+++
For Er7Pd2Au2, a structure optimized by DFT (PBE) gives the calculated PXRD pattern in this record (Cu Kα X-rays).

Crystal structure
```
data_Er7Pd2Au2
_cell_length_a 9.3421
_cell_length_b 9.3421
_cell_length_c 9.3421
_cell_angle_alpha 156.75
_cell_angle_beta 66.61
_cell_angle_gamma 118.57
_symmetry_space_group_name_H-M 'P 1'
_symmetry_Int_Tables_number 1
_symmetry_space_group_name_Hall 'P 1'
loop_
_atom_site_label
_atom_site_type_symbol
_atom_site_fract_x
_atom_site_fract_y
_atom_site_fract_z
Er1 Er 0.0000 0.0000 0.0000
Er2 Er 0.0769 0.3888 0.6881
Er3 Er 0.1196 0.7510 0.3686
Er4 Er 0.3824 0.7510 0.6314
Er5 Er 0.4794 0.5953 0.8841
Er6 Er 0.7006 0.3888 0.3119
Er7 Er 0.7113 0.5953 0.1159
Pd1 Pd 0.3327 0.0916 0.2411
Pd2 Pd 0.8505 0.0916 0.7589
Au1 Au 0.3457 0.3457 0.0000
Au2 Au 0.7585 0.2585 0.5000
```

Most intense lines, 10° ≤ 2θ ≤ 80°, most intense first:
| 2theta | Rel. int. |
| --- | --- |
| 34.40 | 100 |
| 33.00 | 45 |
| 30.79 | 40 |
| 34.91 | 34 |
| 38.81 | 28 |
| 48.35 | 24 |
| 39.46 | 24 |
| 30.11 | 22 |
| 59.78 | 17 |
| 36.99 | 15 |

~~~~~

Record 1
Diffraction record for SbCN2OF3. The powder X-ray diffraction pattern is computed, not measured: it uses a crystal structure in the Materials Project, relaxed with GGA-PBE and CuKα.
Neutral-atom scattering factors, no anomalous dispersion.

Structure:
Cell: 8.312 9.660 7.526 Å, 90.00 90.00 90.00°
Space group Pca2_1 (No. 29)
Inequivalent atoms, fractional coordinates:
Sb1 0.094 0.108 0.000 (multiplicity 4)
C1 0.045 0.715 0.115 (multiplicity 4)
N1 0.048 0.600 0.007 (multiplicity 4)
N2 0.131 0.597 0.158 (multiplicity 4)
O1 0.001 0.831 0.150 (multiplicity 4)
F1 0.132 0.304 0.970 (multiplicity 4)
F2 0.133 0.857 0.556 (multiplicity 4)
F3 0.144 0.122 0.256 (multiplicity 4)

Most intense lines, 10 to 90 degrees two-theta, by intensity:
d (Å)  two_theta  intensity  index
3.646  24.4  100  2 0 1
4.831  18.4  29  1 1 1
3.763  23.6  26  0 0 2
2.150  42.0  20  2 0 3
2.790  32.1  19  1 3 1
4.176  21.3  17  1 2 0
6.301  14.1  15  1 1 0
2.331  38.6  12  1 1 3
2.403  37.4  11  3 2 0
2.098  43.1  11  3 3 0

=====

Record 2
Diffraction record for SmCuSi. The powder X-ray diffraction pattern is computed, not measured: it uses a crystal structure in the Materials Project, relaxed with GGA-PBE and CuKα.
Neutral-atom scattering factors, no anomalous dispersion.

Structure:
Cell: 4.1910 4.1910 7.7472 Å, 90.00 90.00 120.00°
Space group P6_3/mmc (No. 194)
Inequivalent atoms, fractional coordinates:
Sm1 0.0000 0.0000 0.0000 (multiplicity 2)
Cu1 0.3333 0.6667 0.2500 (multiplicity 2)
Si1 0.3333 0.6667 0.7500 (multiplicity 2)

Most intense lines, 10 to 90 degrees two-theta, by intensity:
d (Å)  two_theta  intensity  index
2.649  33.8  100  1 0 2
2.096  43.2  39  1 1 0
3.630  24.5  29  1 0 0
1.643  56.0  23  2 0 2
1.422  65.6  22  1 1 4
1.293  73.2  21  2 1 2
1.937  46.9  10  0 0 4
1.217  78.6  9  1 0 6
1.709  53.6  7  1 0 4
1.210  79.2  6  3 0 0

=====

Record 3
+++

To ensure you safeguard your mission and protect your resources, contact us today and let us help you navigate the complex landscape of fraud risks.

Mac Lillard, GRF


Senior Manager, Risk & Advisory Services